Please restate everything further below with every line break kept.

=====
Material: BaLiYCu2O5
Method: DFT, PBE
State: relaxed

The structure belongs to space group Pmm2 (No. 25); the cell edges are 3.772, 3.949 and 9.161 Å and the angles 90.00°, 90.00° and 90.00°. The inequivalent atoms are Ba at (0.000, 0.000, 0.000), Li at (0.000, 0.500, 0.764), Y at (0.000, 0.000, 0.404), Cu at (0.500, 0.500, 0.221), Cu at (0.500, 0.500, 0.576), O at (0.000, 0.500, 0.242), O at (0.000, 0.500, 0.554), O at (0.500, 0.000, 0.225), O at (0.500, 0.000, 0.544) and O at (0.500, 0.500, 0.882).

As for the polymorph energy (0 for the lowest one): 0.9 meV per atom. Its total magnetization is 0.00 μB/f.u. The raw formation energy comes out at -1.78 eV per atom. The energy is -6.1048 eV per atom.

---

Material: Tb4Dy4Ho5
Method: DFT, PBE
State: relaxed

The structure belongs to space group I4/m (No. 87); the cell edges are 12.746, 12.746 and 4.986 Å and the angles 90.00°, 90.00° and 90.00°. The inequivalent atoms are Tb at (0.154, 0.230, 0.000), Dy at (0.077, 0.615, 0.000), Ho at (0.000, 0.000, 0.000) and Ho at (0.038, 0.808, 0.500).

As for the energy relative to the elements: 0.02 eV/atom. Its total magnetization is 0.00 μB/f.u. The energy is -4.5851 eV per atom.

---

Material: XeF4
Method: DFT, PBE
State: relaxed

The structure belongs to space group P2_1/c (No. 14); the cell edges are 5.295, 6.009 and 7.308 Å and the angles 90.00°, 125.92° and 90.00°. The inequivalent atoms are Xe at (0.000, 0.000, 0.000), F at (0.066, 0.027, 0.304) and F at (0.428, 0.643, 0.656).

Its total magnetization is 0.00 μB/f.u. The raw formation energy comes out at -0.52 eV per atom. The energy is -2.0212 eV per atom.

---

- Number 1 is which compound?
  BaLiYCu2O5

* * * * *

A geometry-optimized Y3GaNi9Ge2 structure, computed with GGA-PBE.

Values from the calculation:
DFT formation energy ... -0.207 eV/atom

Cell: 5.941 5.941 8.602 Å, 90.00 90.00 120.00°
Fractional coordinates of all 15 atoms:
1 Y 0.000 0.000 0.000
2 Y 0.333 0.667 0.701
3 Y 0.667 0.333 0.299
4 Ga 0.000 0.000 0.500
5 Ni 0.000 0.500 0.000
6 Ni 0.134 0.268 0.279
7 Ni 0.134 0.866 0.279
8 Ni 0.268 0.134 0.721
9 Ni 0.500 0.000 0.000
10 Ni 0.500 0.500 0.000
11 Ni 0.732 0.866 0.279
12 Ni 0.866 0.134 0.721
13 Ni 0.866 0.732 0.721
14 Ge 0.333 0.667 0.184
15 Ge 0.667 0.333 0.816

A geometry-optimized ZnGa2Ni5Ge2 structure, computed with GGA-PBE.

Values from the calculation:
DFT formation energy ... -0.130 eV/atom

Cell: 9.324 9.324 3.091 Å, 90.00 90.00 90.00°
Fractional coordinates of all 20 atoms:
1 Zn 0.000 0.000 0.000
2 Zn 0.500 0.500 0.000
3 Ga 0.158 0.342 0.000
4 Ga 0.342 0.842 0.000
5 Ga 0.658 0.158 0.000
6 Ga 0.842 0.658 0.000
7 Ni 0.000 0.500 0.500
8 Ni 0.005 0.789 0.500
9 Ni 0.211 0.005 0.500
10 Ni 0.289 0.505 0.500
11 Ni 0.495 0.289 0.500
12 Ni 0.500 0.000 0.500
13 Ni 0.505 0.711 0.500
14 Ni 0.711 0.495 0.500
15 Ni 0.789 0.995 0.500
16 Ni 0.995 0.211 0.500
17 Ge 0.151 0.651 0.000
18 Ge 0.349 0.151 0.000
19 Ge 0.651 0.849 0.000
20 Ge 0.849 0.349 0.000

A geometry-optimized Np2Ga3Ge structure, computed with GGA-PBE.

Values from the calculation:
DFT formation energy ... -0.026 eV/atom

Cell: 2.541 4.965 8.207 Å, 90.00 90.00 90.00°
Fractional coordinates of all 6 atoms:
1 Np 0.000 0.000 0.000
2 Np 0.000 0.500 0.488
3 Ga 0.500 0.000 0.666
4 Ga 0.500 0.500 0.151
5 Ga 0.500 0.500 0.825
6 Ge 0.500 0.000 0.331

A geometry-optimized Np2Ga9Ge structure, computed with GGA-PBE.

Values from the calculation:
DFT formation energy ... -0.039 eV/atom

Cell: 4.623 4.623 10.843 Å, 90.00 90.00 90.00°
Fractional coordinates of all 12 atoms:
1 Np 0.000 0.000 0.182
2 Np 0.000 0.000 0.818
3 Ga 0.000 0.500 0.000
4 Ga 0.000 0.500 0.357
5 Ga 0.000 0.500 0.643
6 Ga 0.500 0.000 0.000
7 Ga 0.500 0.000 0.357
8 Ga 0.500 0.000 0.643
9 Ga 0.500 0.500 0.174
10 Ga 0.500 0.500 0.500
11 Ga 0.500 0.500 0.826
12 Ge 0.000 0.000 0.500

A geometry-optimized Np2GaGe structure, computed with GGA-PBE.

Values from the calculation:
DFT formation energy ... 0.071 eV/atom
=====

Material: BaLiYCu2O5
Method: DFT, PBE
State: relaxed

The structure belongs to space group Pmm2 (No. 25); the cell edges are 3.772, 3.949 and 9.161 Å and the angles 90.00°, 90.00° and 90.00°. The inequivalent atoms are Ba at (0.000, 0.000, 0.000), Li at (0.000, 0.500, 0.764), Y at (0.000, 0.000, 0.404), Cu at (0.500, 0.500, 0.221), Cu at (0.500, 0.500, 0.576), O at (0.000, 0.500, 0.242), O at (0.000, 0.500, 0.554), O at (0.500, 0.000, 0.225), O at (0.500, 0.000, 0.544) and O at (0.500, 0.500, 0.882).

As for the polymorph energy (0 for the lowest one): 0.9 meV per atom. Its total magnetization is 0.00 μB/f.u. The raw formation energy comes out at -1.78 eV per atom. The energy is -6.1048 eV per atom.

---

Material: Tb4Dy4Ho5
Method: DFT, PBE
State: relaxed

The structure belongs to space group I4/m (No. 87); the cell edges are 12.746, 12.746 and 4.986 Å and the angles 90.00°, 90.00° and 90.00°. The inequivalent atoms are Tb at (0.154, 0.230, 0.000), Dy at (0.077, 0.615, 0.000), Ho at (0.000, 0.000, 0.000) and Ho at (0.038, 0.808, 0.500).

As for the energy relative to the elements: 0.02 eV/atom. Its total magnetization is 0.00 μB/f.u. The energy is -4.5851 eV per atom.

---

Material: XeF4
Method: DFT, PBE
State: relaxed

The structure belongs to space group P2_1/c (No. 14); the cell edges are 5.295, 6.009 and 7.308 Å and the angles 90.00°, 125.92° and 90.00°. The inequivalent atoms are Xe at (0.000, 0.000, 0.000), F at (0.066, 0.027, 0.304) and F at (0.428, 0.643, 0.656).

Its total magnetization is 0.00 μB/f.u. The raw formation energy comes out at -0.52 eV per atom. The energy is -2.0212 eV per atom.

---

- Number 1 is which compound?
  BaLiYCu2O5

* * * * *

A geometry-optimized Y3GaNi9Ge2 structure, computed with GGA-PBE.

Values from the calculation:
DFT formation energy ... -0.207 eV/atom

Cell: 5.941 5.941 8.602 Å, 90.00 90.00 120.00°
Fractional coordinates of all 15 atoms:
1 Y 0.000 0.000 0.000
2 Y 0.333 0.667 0.701
3 Y 0.667 0.333 0.299
4 Ga 0.000 0.000 0.500
5 Ni 0.000 0.500 0.000
6 Ni 0.134 0.268 0.279
7 Ni 0.134 0.866 0.279
8 Ni 0.268 0.134 0.721
9 Ni 0.500 0.000 0.000
10 Ni 0.500 0.500 0.000
11 Ni 0.732 0.866 0.279
12 Ni 0.866 0.134 0.721
13 Ni 0.866 0.732 0.721
14 Ge 0.333 0.667 0.184
15 Ge 0.667 0.333 0.816

A geometry-optimized ZnGa2Ni5Ge2 structure, computed with GGA-PBE.

Values from the calculation:
DFT formation energy ... -0.130 eV/atom

Cell: 9.324 9.324 3.091 Å, 90.00 90.00 90.00°
Fractional coordinates of all 20 atoms:
1 Zn 0.000 0.000 0.000
2 Zn 0.500 0.500 0.000
3 Ga 0.158 0.342 0.000
4 Ga 0.342 0.842 0.000
5 Ga 0.658 0.158 0.000
6 Ga 0.842 0.658 0.000
7 Ni 0.000 0.500 0.500
8 Ni 0.005 0.789 0.500
9 Ni 0.211 0.005 0.500
10 Ni 0.289 0.505 0.500
11 Ni 0.495 0.289 0.500
12 Ni 0.500 0.000 0.500
13 Ni 0.505 0.711 0.500
14 Ni 0.711 0.495 0.500
15 Ni 0.789 0.995 0.500
16 Ni 0.995 0.211 0.500
17 Ge 0.151 0.651 0.000
18 Ge 0.349 0.151 0.000
19 Ge 0.651 0.849 0.000
20 Ge 0.849 0.349 0.000

A geometry-optimized Np2Ga3Ge structure, computed with GGA-PBE.

Values from the calculation:
DFT formation energy ... -0.026 eV/atom

Cell: 2.541 4.965 8.207 Å, 90.00 90.00 90.00°
Fractional coordinates of all 6 atoms:
1 Np 0.000 0.000 0.000
2 Np 0.000 0.500 0.488
3 Ga 0.500 0.000 0.666
4 Ga 0.500 0.500 0.151
5 Ga 0.500 0.500 0.825
6 Ge 0.500 0.000 0.331

A geometry-optimized Np2Ga9Ge structure, computed with GGA-PBE.

Values from the calculation:
DFT formation energy ... -0.039 eV/atom

Cell: 4.623 4.623 10.843 Å, 90.00 90.00 90.00°
Fractional coordinates of all 12 atoms:
1 Np 0.000 0.000 0.182
2 Np 0.000 0.000 0.818
3 Ga 0.000 0.500 0.000
4 Ga 0.000 0.500 0.357
5 Ga 0.000 0.500 0.643
6 Ga 0.500 0.000 0.000
7 Ga 0.500 0.000 0.357
8 Ga 0.500 0.000 0.643
9 Ga 0.500 0.500 0.174
10 Ga 0.500 0.500 0.500
11 Ga 0.500 0.500 0.826
12 Ge 0.000 0.000 0.500

A geometry-optimized Np2GaGe structure, computed with GGA-PBE.

Values from the calculation:
DFT formation energy ... 0.071 eV/atom